# Source
-- begin --
Version i
# Mn2PO5

An optimized crystal structure of Mn2PO5 (PBE+U, the Materials Project).

Unit cell a=13.2855 b=9.6537 c=12.3358 alpha=72.60 beta=90.00 gamma=90.00
Element x y z (fractional)
O (0.6591, 0.9871, 0.9290)
O (0.3336, 0.9698, 0.4678)
O (0.2408, 0.5055, 0.1205)
O (0.1495, 0.8329, 0.2142)
O (0.8409, 0.9871, 0.4290)
O (0.0220, 0.9703, 0.3811)
O (0.7952, 0.2690, 0.5330)
O (0.9544, 0.2464, 0.9739)
O (0.9056, 0.6668, 0.7944)
O (0.0474, 0.5841, 0.2415)
O (0.2685, 0.4695, 0.8819)
O (0.3819, 0.8313, 0.3272)
O (0.7974, 0.7532, 0.9664)
O (0.8819, 0.1687, 0.1728)
O (0.7951, 0.9134, 0.7485)
O (0.5474, 0.4159, 0.2585)
O (0.0917, 0.4727, 0.9511)
O (0.6432, 0.6972, 0.6690)
O (0.4000, 0.2082, 0.1613)
O (0.1664, 0.9698, 0.9678)
O (0.5068, 0.9926, 0.3822)
O (0.9780, 0.0297, 0.6189)
O (0.1181, 0.8313, 0.8272)
O (0.7408, 0.4945, 0.3795)
O (0.8568, 0.6972, 0.1690)
O (0.9932, 0.9926, 0.8822)
O (0.2952, 0.7310, 0.9670)
O (0.3409, 0.0129, 0.0710)
O (0.2951, 0.0866, 0.7515)
O (0.4780, 0.9703, 0.8811)
O (0.6414, 0.3182, 0.8290)
O (0.4932, 0.0074, 0.6178)
O (0.2315, 0.4695, 0.3819)
O (0.1414, 0.6818, 0.6710)
O (0.2026, 0.2468, 0.0336)
O (0.7592, 0.4945, 0.8795)
O (0.8505, 0.1671, 0.7858)
O (0.0809, 0.5293, 0.5481)
O (0.5562, 0.7728, 0.0440)
O (0.2048, 0.7310, 0.4670)
O (0.4438, 0.2272, 0.9560)
O (0.5456, 0.2464, 0.4739)
O (0.7026, 0.7532, 0.4664)
O (0.0562, 0.2272, 0.4560)
O (0.1591, 0.0129, 0.5710)
O (0.9083, 0.5273, 0.0489)
O (0.2592, 0.5055, 0.6205)
O (0.7049, 0.9134, 0.2485)
O (0.4526, 0.5841, 0.7415)
O (0.4191, 0.5293, 0.0481)
O (0.5917, 0.5273, 0.5489)
O (0.7048, 0.2690, 0.0330)
O (0.1000, 0.2082, 0.6613)
O (0.9526, 0.4159, 0.7585)
O (0.9438, 0.7728, 0.5440)
O (0.3568, 0.3028, 0.3310)
O (0.0068, 0.0074, 0.1178)
O (0.4056, 0.3332, 0.7056)
O (0.0456, 0.7536, 0.0261)
O (0.9000, 0.7918, 0.3387)
O (0.6664, 0.0302, 0.5322)
O (0.5944, 0.6668, 0.2944)
O (0.3586, 0.6818, 0.1710)
O (0.7315, 0.5305, 0.1181)
O (0.3505, 0.8329, 0.7142)
O (0.4083, 0.4727, 0.4511)
O (0.1432, 0.3028, 0.8310)
O (0.2974, 0.2468, 0.5336)
O (0.6181, 0.1687, 0.6728)
O (0.5220, 0.0297, 0.1189)
O (0.6495, 0.1671, 0.2858)
O (0.0944, 0.3332, 0.2056)
O (0.2049, 0.0866, 0.2515)
O (0.8586, 0.3182, 0.3290)
O (0.5809, 0.4707, 0.9519)
O (0.8336, 0.0302, 0.0322)
O (0.6000, 0.7918, 0.8387)
O (0.9191, 0.4707, 0.4519)
O (0.4544, 0.7536, 0.5261)
O (0.7685, 0.5305, 0.6181)
P (0.4255, 0.1222, 0.0772)
P (0.6707, 0.3866, 0.9231)
P (0.5812, 0.1152, 0.5731)
P (0.1707, 0.6134, 0.5769)
P (0.4188, 0.8848, 0.4269)
P (0.0745, 0.1222, 0.5772)
P (0.9188, 0.1152, 0.0731)
P (0.6749, 0.6292, 0.5750)
P (0.0812, 0.8848, 0.9269)
P (0.1749, 0.3708, 0.9250)
P (0.8293, 0.3866, 0.4231)
P (0.3293, 0.6134, 0.0769)
P (0.8251, 0.6292, 0.0750)
P (0.5745, 0.8778, 0.9228)
P (0.9255, 0.8778, 0.4228)
P (0.3251, 0.3708, 0.4250)
Mn (0.6776, 0.9737, 0.3831)
Mn (0.6795, 0.0408, 0.0865)
Mn (0.9944, 0.2165, 0.8040)
Mn (0.8205, 0.0408, 0.5865)
Mn (0.1776, 0.0263, 0.1169)
Mn (0.5119, 0.1957, 0.8010)
Mn (0.7418, 0.3010, 0.6948)
Mn (0.9282, 0.4719, 0.8953)
Mn (0.7580, 0.7135, 0.8033)
Mn (0.4944, 0.7835, 0.6960)
Mn (0.2418, 0.6990, 0.8052)
Mn (0.5718, 0.4719, 0.3953)
Mn (0.9288, 0.5454, 0.5989)
Mn (0.2420, 0.2865, 0.1967)
Mn (0.5712, 0.5454, 0.0989)
Mn (0.4288, 0.4546, 0.9011)
Mn (0.0718, 0.5281, 0.1047)
Mn (0.7582, 0.3010, 0.1948)
Mn (0.0119, 0.8043, 0.6990)
Mn (0.4881, 0.8043, 0.1990)
Mn (0.0056, 0.7835, 0.1960)
Mn (0.3224, 0.0263, 0.6169)
Mn (0.4282, 0.5281, 0.6047)
Mn (0.7420, 0.7135, 0.3033)
Mn (0.8224, 0.9737, 0.8831)
Mn (0.5056, 0.2165, 0.3040)
Mn (0.0712, 0.4546, 0.4011)
Mn (0.2580, 0.2865, 0.6967)
Mn (0.2582, 0.6990, 0.3052)
Mn (0.9881, 0.1957, 0.3010)
Mn (0.3205, 0.9592, 0.9135)
Mn (0.1795, 0.9592, 0.4135)

Output
Symmetry: P2_1/c, No. 14
Total magnetization, Bohr magnetons per cell: 53.5

Version ii
# Mn2PO5

An optimized crystal structure of Mn2PO5 (PBE+U, the Materials Project).

Unit cell a=6.1639 b=7.4650 c=8.5589 alpha=106.16 beta=88.88 gamma=99.80
Element x y z (fractional)
O (0.2416, 0.9884, 0.7068)
-- stop --

# Work order
Reproduce the whole of the rows above verbatim, please.

# Here it is
Version i
# Mn2PO5

An optimized crystal structure of Mn2PO5 (PBE+U, the Materials Project).

Unit cell a=13.2855 b=9.6537 c=12.3358 alpha=72.60 beta=90.00 gamma=90.00
Element x y z (fractional)
O (0.6591, 0.9871, 0.9290)
O (0.3336, 0.9698, 0.4678)
O (0.2408, 0.5055, 0.1205)
O (0.1495, 0.8329, 0.2142)
O (0.8409, 0.9871, 0.4290)
O (0.0220, 0.9703, 0.3811)
O (0.7952, 0.2690, 0.5330)
O (0.9544, 0.2464, 0.9739)
O (0.9056, 0.6668, 0.7944)
O (0.0474, 0.5841, 0.2415)
O (0.2685, 0.4695, 0.8819)
O (0.3819, 0.8313, 0.3272)
O (0.7974, 0.7532, 0.9664)
O (0.8819, 0.1687, 0.1728)
O (0.7951, 0.9134, 0.7485)
O (0.5474, 0.4159, 0.2585)
O (0.0917, 0.4727, 0.9511)
O (0.6432, 0.6972, 0.6690)
O (0.4000, 0.2082, 0.1613)
O (0.1664, 0.9698, 0.9678)
O (0.5068, 0.9926, 0.3822)
O (0.9780, 0.0297, 0.6189)
O (0.1181, 0.8313, 0.8272)
O (0.7408, 0.4945, 0.3795)
O (0.8568, 0.6972, 0.1690)
O (0.9932, 0.9926, 0.8822)
O (0.2952, 0.7310, 0.9670)
O (0.3409, 0.0129, 0.0710)
O (0.2951, 0.0866, 0.7515)
O (0.4780, 0.9703, 0.8811)
O (0.6414, 0.3182, 0.8290)
O (0.4932, 0.0074, 0.6178)
O (0.2315, 0.4695, 0.3819)
O (0.1414, 0.6818, 0.6710)
O (0.2026, 0.2468, 0.0336)
O (0.7592, 0.4945, 0.8795)
O (0.8505, 0.1671, 0.7858)
O (0.0809, 0.5293, 0.5481)
O (0.5562, 0.7728, 0.0440)
O (0.2048, 0.7310, 0.4670)
O (0.4438, 0.2272, 0.9560)
O (0.5456, 0.2464, 0.4739)
O (0.7026, 0.7532, 0.4664)
O (0.0562, 0.2272, 0.4560)
O (0.1591, 0.0129, 0.5710)
O (0.9083, 0.5273, 0.0489)
O (0.2592, 0.5055, 0.6205)
O (0.7049, 0.9134, 0.2485)
O (0.4526, 0.5841, 0.7415)
O (0.4191, 0.5293, 0.0481)
O (0.5917, 0.5273, 0.5489)
O (0.7048, 0.2690, 0.0330)
O (0.1000, 0.2082, 0.6613)
O (0.9526, 0.4159, 0.7585)
O (0.9438, 0.7728, 0.5440)
O (0.3568, 0.3028, 0.3310)
O (0.0068, 0.0074, 0.1178)
O (0.4056, 0.3332, 0.7056)
O (0.0456, 0.7536, 0.0261)
O (0.9000, 0.7918, 0.3387)
O (0.6664, 0.0302, 0.5322)
O (0.5944, 0.6668, 0.2944)
O (0.3586, 0.6818, 0.1710)
O (0.7315, 0.5305, 0.1181)
O (0.3505, 0.8329, 0.7142)
O (0.4083, 0.4727, 0.4511)
O (0.1432, 0.3028, 0.8310)
O (0.2974, 0.2468, 0.5336)
O (0.6181, 0.1687, 0.6728)
O (0.5220, 0.0297, 0.1189)
O (0.6495, 0.1671, 0.2858)
O (0.0944, 0.3332, 0.2056)
O (0.2049, 0.0866, 0.2515)
O (0.8586, 0.3182, 0.3290)
O (0.5809, 0.4707, 0.9519)
O (0.8336, 0.0302, 0.0322)
O (0.6000, 0.7918, 0.8387)
O (0.9191, 0.4707, 0.4519)
O (0.4544, 0.7536, 0.5261)
O (0.7685, 0.5305, 0.6181)
P (0.4255, 0.1222, 0.0772)
P (0.6707, 0.3866, 0.9231)
P (0.5812, 0.1152, 0.5731)
P (0.1707, 0.6134, 0.5769)
P (0.4188, 0.8848, 0.4269)
P (0.0745, 0.1222, 0.5772)
P (0.9188, 0.1152, 0.0731)
P (0.6749, 0.6292, 0.5750)
P (0.0812, 0.8848, 0.9269)
P (0.1749, 0.3708, 0.9250)
P (0.8293, 0.3866, 0.4231)
P (0.3293, 0.6134, 0.0769)
P (0.8251, 0.6292, 0.0750)
P (0.5745, 0.8778, 0.9228)
P (0.9255, 0.8778, 0.4228)
P (0.3251, 0.3708, 0.4250)
Mn (0.6776, 0.9737, 0.3831)
Mn (0.6795, 0.0408, 0.0865)
Mn (0.9944, 0.2165, 0.8040)
Mn (0.8205, 0.0408, 0.5865)
Mn (0.1776, 0.0263, 0.1169)
Mn (0.5119, 0.1957, 0.8010)
Mn (0.7418, 0.3010, 0.6948)
Mn (0.9282, 0.4719, 0.8953)
Mn (0.7580, 0.7135, 0.8033)
Mn (0.4944, 0.7835, 0.6960)
Mn (0.2418, 0.6990, 0.8052)
Mn (0.5718, 0.4719, 0.3953)
Mn (0.9288, 0.5454, 0.5989)
Mn (0.2420, 0.2865, 0.1967)
Mn (0.5712, 0.5454, 0.0989)
Mn (0.4288, 0.4546, 0.9011)
Mn (0.0718, 0.5281, 0.1047)
Mn (0.7582, 0.3010, 0.1948)
Mn (0.0119, 0.8043, 0.6990)
Mn (0.4881, 0.8043, 0.1990)
Mn (0.0056, 0.7835, 0.1960)
Mn (0.3224, 0.0263, 0.6169)
Mn (0.4282, 0.5281, 0.6047)
Mn (0.7420, 0.7135, 0.3033)
Mn (0.8224, 0.9737, 0.8831)
Mn (0.5056, 0.2165, 0.3040)
Mn (0.0712, 0.4546, 0.4011)
Mn (0.2580, 0.2865, 0.6967)
Mn (0.2582, 0.6990, 0.3052)
Mn (0.9881, 0.1957, 0.3010)
Mn (0.3205, 0.9592, 0.9135)
Mn (0.1795, 0.9592, 0.4135)

Output
Symmetry: P2_1/c, No. 14
Total magnetization, Bohr magnetons per cell: 53.5

Version ii
# Mn2PO5

An optimized crystal structure of Mn2PO5 (PBE+U, the Materials Project).

Unit cell a=6.1639 b=7.4650 c=8.5589 alpha=106.16 beta=88.88 gamma=99.80
Element x y z (fractional)
O (0.2416, 0.9884, 0.7068)